Activity:
Your job: duplicate all of the calculation results underneath exactly.

Excerpt:
Below is GdErCoRu after structural relaxation, with properties calculated at the GGA-PBE level.

Cell lengths 4.767, 4.767, 4.767 Å; angles 60.00, 60.00, 60.00 degrees
Element x y z (fractional)
Gd 0.000 0.000 0.000
Er 0.500 0.500 0.500
Co 0.750 0.750 0.750
Ru 0.250 0.250 0.250

Electronic total energy in eV/atom: -8.993
Size of the total moment in μB/cell: 7.08
Energy of formation in eV per atom: -0.24

---

Below is GdErCoSn after structural relaxation, with properties calculated at the GGA-PBE level.

Cell lengths 5.078, 5.078, 5.078 Å; angles 60.00, 60.00, 60.00 degrees
Element x y z (fractional)
Gd 0.000 0.000 0.000
Er 0.500 0.500 0.500
Co 0.750 0.750 0.750
Sn 0.250 0.250 0.250

Electronic total energy in eV/atom: -7.760
Size of the total moment in μB/cell: 6.19
Energy of formation in eV per atom: -0.32

----------

1.
VASP calculation (PBE) on a relaxed Zn3Au crystal.

POSCAR file:
```
Zn3Au
1.0
-3.0266 -0.9745 2.3641
0.0731 -3.6947 -1.4294
2.5561 -1.0482 2.8402
Zn Au
3 1
Cartesian
1.3146 -2.3715 0.7054
-0.2353 -1.0114 2.6022
-1.4768 -2.3346 0.4674
0.0000 0.0000 0.0000
```

Results
**Total DFT energy (no corrections)**: -7.53 eV for the cell shown
**Volume**: 15.551 A^3/atom
**Theoretical density**: 10496 kg/m3
**Formation energy**: -109 meV/atom

2.
VASP calculation (PBE) on a relaxed MnAsSe2N crystal.

POSCAR file:
```
MnAsSe2N
1.0
4.3155 0.0000 0.0000
0.0000 4.3155 0.0000
0.0000 0.0000 4.2035
As Mn Se N
1 1 2 1
Cartesian
0.0000 0.0000 2.1017
2.1577 2.1577 2.1017
0.0000 2.1577 0.0000
2.1577 0.0000 0.0000
0.0000 0.0000 0.0000
```

Results
**Energy relative to the elements, uncorrected**: 1.17 eV per atom
**Total DFT energy (no corrections)**: -23.25 eV for the cell shown
**Volume**: 15.657 A^3/atom
**Theoretical density**: 6401 kg/m3

----------

DFT (PBE) results for crystalline Na2GeTe5 at its relaxed geometry.

```
Na2GeTe5
1.0
5.278 -4.246 0.000
5.278 4.246 0.000
-3.836 0.000 5.296
Na Ge Te
2 1 5
Direct
0.000 0.000 0.000
0.002 0.002 0.502
0.483 0.483 0.690
0.016 0.504 0.510
0.482 0.482 0.237
0.504 0.016 0.510
0.504 0.987 0.998
0.987 0.504 0.998
```

Output
ΔE_f (raw) = -0.32 eV/atom
Spin magnetization = 0.000 μB/f.u.
D(E_F) = 2.218 states/eV/f.u.



DFT (PBE) results for crystalline NaGeTe3 at its relaxed geometry.

```
NaGeTe3
1.0
6.967 0.000 0.000
0.000 6.668 0.000
-2.332 0.000 7.141
Na Ge Te
2 2 6
Direct
0.081 0.250 0.392
0.919 0.750 0.608
0.368 0.750 0.008
0.632 0.250 0.992
0.002 0.250 0.969
0.398 0.519 0.709
0.398 0.981 0.709
0.602 0.019 0.291
0.602 0.481 0.291
0.998 0.750 0.031
```

Output
ΔE_f (raw) = -0.21 eV/atom
Spin magnetization = 0.000 μB/f.u.
D(E_F) = 2.586 states/eV/f.u.



DFT (PBE) results for crystalline NaGe2Te at its relaxed geometry.

```
NaGe2Te
1.0
5.232 0.000 0.000
2.501 5.310 0.000
2.361 0.983 8.103
Na Ge Te
2 4 2
Direct
0.000 0.000 0.000
0.414 0.513 0.705
0.062 0.436 0.318
0.371 0.924 0.287
0.586 0.418 0.280
0.800 0.919 0.400
0.193 0.138 0.606
0.702 0.633 0.961
```

Output
ΔE_f (raw) = -0.15 eV/atom
Spin magnetization = 0.000 μB/f.u.
D(E_F) = 1.012 states/eV/f.u.



DFT (PBE) results for crystalline NaGe2Te at its relaxed geometry.

```
NaGe2Te
1.0
4.232 0.000 0.000
-1.942 5.774 0.000
-1.358 -2.356 9.765
Na Ge Te
2 4 2
Direct
0.000 0.000 0.000
0.390 0.644 0.261
0.411 0.040 0.782
0.551 0.532 0.566
0.835 0.981 0.632
0.916 0.295 0.492
0.495 0.508 0.823
0.676 0.208 0.223
```

Output
ΔE_f (raw) = -0.20 eV/atom
Spin magnetization = 0.000 μB/f.u.
D(E_F) = 0.015 states/eV/f.u.

----------

# 1
DFT (PBE-GGA) results for TcSbAs after structural relaxation.

The structure belongs to space group F-43m (No. 216); the cell edges are 6.272, 6.272 and 6.272 Å and the angles 90.00°, 90.00° and 90.00°. Symmetry generates all atoms from Tc at (0.000, 0.000, 0.000), Sb at (0.250, 0.250, 0.250) and As at (0.250, 0.250, 0.750).

Completed:
Below is GdErCoRu after structural relaxation, with properties calculated at the GGA-PBE level.

Cell lengths 4.767, 4.767, 4.767 Å; angles 60.00, 60.00, 60.00 degrees
Element x y z (fractional)
Gd 0.000 0.000 0.000
Er 0.500 0.500 0.500
Co 0.750 0.750 0.750
Ru 0.250 0.250 0.250

Electronic total energy in eV/atom: -8.993
Size of the total moment in μB/cell: 7.08
Energy of formation in eV per atom: -0.24

---

Below is GdErCoSn after structural relaxation, with properties calculated at the GGA-PBE level.

Cell lengths 5.078, 5.078, 5.078 Å; angles 60.00, 60.00, 60.00 degrees
Element x y z (fractional)
Gd 0.000 0.000 0.000
Er 0.500 0.500 0.500
Co 0.750 0.750 0.750
Sn 0.250 0.250 0.250

Electronic total energy in eV/atom: -7.760
Size of the total moment in μB/cell: 6.19
Energy of formation in eV per atom: -0.32

----------

1.
VASP calculation (PBE) on a relaxed Zn3Au crystal.

POSCAR file:
```
Zn3Au
1.0
-3.0266 -0.9745 2.3641
0.0731 -3.6947 -1.4294
2.5561 -1.0482 2.8402
Zn Au
3 1
Cartesian
1.3146 -2.3715 0.7054
-0.2353 -1.0114 2.6022
-1.4768 -2.3346 0.4674
0.0000 0.0000 0.0000
```

Results
**Total DFT energy (no corrections)**: -7.53 eV for the cell shown
**Volume**: 15.551 A^3/atom
**Theoretical density**: 10496 kg/m3
**Formation energy**: -109 meV/atom

2.
VASP calculation (PBE) on a relaxed MnAsSe2N crystal.

POSCAR file:
```
MnAsSe2N
1.0
4.3155 0.0000 0.0000
0.0000 4.3155 0.0000
0.0000 0.0000 4.2035
As Mn Se N
1 1 2 1
Cartesian
0.0000 0.0000 2.1017
2.1577 2.1577 2.1017
0.0000 2.1577 0.0000
2.1577 0.0000 0.0000
0.0000 0.0000 0.0000
```

Results
**Energy relative to the elements, uncorrected**: 1.17 eV per atom
**Total DFT energy (no corrections)**: -23.25 eV for the cell shown
**Volume**: 15.657 A^3/atom
**Theoretical density**: 6401 kg/m3

----------

DFT (PBE) results for crystalline Na2GeTe5 at its relaxed geometry.

```
Na2GeTe5
1.0
5.278 -4.246 0.000
5.278 4.246 0.000
-3.836 0.000 5.296
Na Ge Te
2 1 5
Direct
0.000 0.000 0.000
0.002 0.002 0.502
0.483 0.483 0.690
0.016 0.504 0.510
0.482 0.482 0.237
0.504 0.016 0.510
0.504 0.987 0.998
0.987 0.504 0.998
```

Output
ΔE_f (raw) = -0.32 eV/atom
Spin magnetization = 0.000 μB/f.u.
D(E_F) = 2.218 states/eV/f.u.



DFT (PBE) results for crystalline NaGeTe3 at its relaxed geometry.

```
NaGeTe3
1.0
6.967 0.000 0.000
0.000 6.668 0.000
-2.332 0.000 7.141
Na Ge Te
2 2 6
Direct
0.081 0.250 0.392
0.919 0.750 0.608
0.368 0.750 0.008
0.632 0.250 0.992
0.002 0.250 0.969
0.398 0.519 0.709
0.398 0.981 0.709
0.602 0.019 0.291
0.602 0.481 0.291
0.998 0.750 0.031
```

Output
ΔE_f (raw) = -0.21 eV/atom
Spin magnetization = 0.000 μB/f.u.
D(E_F) = 2.586 states/eV/f.u.



DFT (PBE) results for crystalline NaGe2Te at its relaxed geometry.

```
NaGe2Te
1.0
5.232 0.000 0.000
2.501 5.310 0.000
2.361 0.983 8.103
Na Ge Te
2 4 2
Direct
0.000 0.000 0.000
0.414 0.513 0.705
0.062 0.436 0.318
0.371 0.924 0.287
0.586 0.418 0.280
0.800 0.919 0.400
0.193 0.138 0.606
0.702 0.633 0.961
```

Output
ΔE_f (raw) = -0.15 eV/atom
Spin magnetization = 0.000 μB/f.u.
D(E_F) = 1.012 states/eV/f.u.



DFT (PBE) results for crystalline NaGe2Te at its relaxed geometry.

```
NaGe2Te
1.0
4.232 0.000 0.000
-1.942 5.774 0.000
-1.358 -2.356 9.765
Na Ge Te
2 4 2
Direct
0.000 0.000 0.000
0.390 0.644 0.261
0.411 0.040 0.782
0.551 0.532 0.566
0.835 0.981 0.632
0.916 0.295 0.492
0.495 0.508 0.823
0.676 0.208 0.223
```

Output
ΔE_f (raw) = -0.20 eV/atom
Spin magnetization = 0.000 μB/f.u.
D(E_F) = 0.015 states/eV/f.u.

----------

# 1
DFT (PBE-GGA) results for TcSbAs after structural relaxation.

The structure belongs to space group F-43m (No. 216); the cell edges are 6.272, 6.272 and 6.272 Å and the angles 90.00°, 90.00° and 90.00°. Symmetry generates all atoms from Tc at (0.000, 0.000, 0.000), Sb at (0.250, 0.250, 0.250) and As at (0.250, 0.250, 0.750).